# Exercise
Now return the whole of the lines underneath with every line break kept.

# Source
- - -
(1)
Here is C5H3ClS in the gas phase at a distorted geometry from the OMol25 dataset. Energies are from the ωB97M-V functional and the def2-TZVPD basis.

The geometry in XYZ format:
```
10
Properties=species:S:1:pos:R:3
C -0.98751 0.01703 1.42378
C -0.49779 -1.15051 -1.00240
C 0.24563 0.35472 0.74924
C 0.50898 -0.43355 -0.52532
C 1.33293 0.64486 -0.03595
S -1.77831 -1.18851 0.33924
Cl -1.02877 -1.02800 3.36343
H -1.54618 0.80802 1.89579
H -0.74850 -1.90170 -1.70521
H 2.34200 0.97242 -0.06176
```

The molecular weight comes out at 130.6 g mol⁻¹. The HOMO-LUMO gap (alpha / beta) comes out at 6.847 / 6.847 eV. As for the calculated total energy: -28585.535 eV. As for the SMILES: Cl[C@@H]1SC=C2C=C21. As for the relative energy (zero: lowest compared OMol25 entry of this formula, charge and spin): 4.215 eV.

Formally, the Löwdin partial charges of the atoms, in units of the elementary charge, are as follows: -0.63, -0.30, -0.15, -0.25, 0.15, 0.88, 0.13, 0.04, 0.04, 0.10



(2)
Here is a molecular structure, C5H3CrN5O4 at a distorted geometry from the OMol25 dataset. Energies are from the ωB97M-V functional and the def2-TZVPD basis.

The geometry in XYZ format:
```
18
Properties=species:S:1:pos:R:3
Cr 1.85175 -0.81723 -0.31090
O -2.04297 -3.10050 3.79264
C -1.21448 -2.94849 3.01509
C 2.29889 -0.83962 -2.08345
O 2.26316 -1.12432 -3.25775
C 1.90447 0.99910 0.30018
O 2.00382 1.93688 1.02707
C 3.17782 -1.62888 0.73669
O 3.96417 -2.08377 1.48963
N -2.34744 2.56941 0.00932
N -1.68802 1.39293 -0.33574
N -2.31480 0.33375 -0.91524
C -1.30413 -0.53208 -0.98340
N -0.11324 -0.06578 -0.50340
N -0.42744 1.19154 -0.03921
H -1.69692 3.29666 0.29146
H -2.85934 2.89529 -0.81400
H -1.45532 -1.47488 -1.41897
```

The molecular weight comes out at 249.1 g mol⁻¹. As for the charge: +2. The multiplicity is 5. The HOMO-LUMO gap (alpha / beta) comes out at 6.853 / 6.773 eV. As for the calculated total energy: -49271.365 eV. The expectation value of S² is 6.032.

Formally, the Löwdin partial charges of the atoms, in units of the elementary charge, are as follows: 0.75, 0.03, -0.01, 0.00, 0.23, -0.03, 0.23, 0.02, 0.26, 0.20, -0.19, 0.22, -0.10, -0.08, 0.08, 0.13, 0.14, 0.13



(3)
Here is a molecular structure, C5H3F2IN2 at a distorted geometry from the OMol25 dataset. Energies are from the ωB97M-V functional and the def2-TZVPD basis.

The geometry in XYZ format:
```
13
Properties=species:S:1:pos:R:3
C -1.58797 -2.59726 0.65555
C -1.26586 -1.41792 0.73713
C 0.13983 0.20867 -0.45096
C 1.35556 1.83199 -0.29693
C -0.68528 -0.09189 0.82684
N 0.55846 -0.81901 -1.29431
N -0.35000 -0.12061 -1.70817
F -1.62350 0.87253 1.00325
F 0.06947 -0.07985 1.93231
I 3.02391 1.26301 -1.52839
H -1.91710 -3.50223 0.26523
H 1.57715 1.80354 0.68888
H 0.70532 2.64903 -0.83044
```

The molecular weight comes out at 256.0 g mol⁻¹. The HOMO-LUMO gap comes out at 9.578 eV. As for the calculated total energy: -21742.989 eV. As for the relative energy (zero: lowest compared OMol25 entry of this formula, charge and spin): 0.000 eV.

Formally, the Löwdin partial charges of the atoms, in units of the elementary charge, are as follows: 0.18, -0.01, -0.38, -0.48, -0.56, 0.11, 0.17, 0.10, 0.11, 0.73, 0.03, -0.06, 0.06



(4)
Here is a molecular structure, C5H3MgO3 at a distorted geometry from the OMol25 dataset. Energies are from the ωB97M-V functional and the def2-TZVPD basis.

The geometry in XYZ format:
```
12
Properties=species:S:1:pos:R:3
C -1.17528 -0.03711 -0.25068
C -2.22677 0.70936 -0.36447
O -3.14784 1.41268 -0.50293
C -0.60053 -1.40914 -0.18288
C 0.01754 -0.29366 0.59247
O 1.23583 0.23728 0.17351
C 1.52254 1.80820 0.30308
O 2.65584 1.87012 -0.16967
Mg 3.04112 -0.07861 -0.57231
H -1.15058 -2.17481 0.36773
H -0.07373 -1.76444 -1.07225
H -0.09816 -0.27985 1.67840
```
- - -

# Outcome
(1)
Here is C5H3ClS in the gas phase at a distorted geometry from the OMol25 dataset. Energies are from the ωB97M-V functional and the def2-TZVPD basis.

The geometry in XYZ format:
```
10
Properties=species:S:1:pos:R:3
C -0.98751 0.01703 1.42378
C -0.49779 -1.15051 -1.00240
C 0.24563 0.35472 0.74924
C 0.50898 -0.43355 -0.52532
C 1.33293 0.64486 -0.03595
S -1.77831 -1.18851 0.33924
Cl -1.02877 -1.02800 3.36343
H -1.54618 0.80802 1.89579
H -0.74850 -1.90170 -1.70521
H 2.34200 0.97242 -0.06176
```

The molecular weight comes out at 130.6 g mol⁻¹. The HOMO-LUMO gap (alpha / beta) comes out at 6.847 / 6.847 eV. As for the calculated total energy: -28585.535 eV. As for the SMILES: Cl[C@@H]1SC=C2C=C21. As for the relative energy (zero: lowest compared OMol25 entry of this formula, charge and spin): 4.215 eV.

Formally, the Löwdin partial charges of the atoms, in units of the elementary charge, are as follows: -0.63, -0.30, -0.15, -0.25, 0.15, 0.88, 0.13, 0.04, 0.04, 0.10



(2)
Here is a molecular structure, C5H3CrN5O4 at a distorted geometry from the OMol25 dataset. Energies are from the ωB97M-V functional and the def2-TZVPD basis.

The geometry in XYZ format:
```
18
Properties=species:S:1:pos:R:3
Cr 1.85175 -0.81723 -0.31090
O -2.04297 -3.10050 3.79264
C -1.21448 -2.94849 3.01509
C 2.29889 -0.83962 -2.08345
O 2.26316 -1.12432 -3.25775
C 1.90447 0.99910 0.30018
O 2.00382 1.93688 1.02707
C 3.17782 -1.62888 0.73669
O 3.96417 -2.08377 1.48963
N -2.34744 2.56941 0.00932
N -1.68802 1.39293 -0.33574
N -2.31480 0.33375 -0.91524
C -1.30413 -0.53208 -0.98340
N -0.11324 -0.06578 -0.50340
N -0.42744 1.19154 -0.03921
H -1.69692 3.29666 0.29146
H -2.85934 2.89529 -0.81400
H -1.45532 -1.47488 -1.41897
```

The molecular weight comes out at 249.1 g mol⁻¹. As for the charge: +2. The multiplicity is 5. The HOMO-LUMO gap (alpha / beta) comes out at 6.853 / 6.773 eV. As for the calculated total energy: -49271.365 eV. The expectation value of S² is 6.032.

Formally, the Löwdin partial charges of the atoms, in units of the elementary charge, are as follows: 0.75, 0.03, -0.01, 0.00, 0.23, -0.03, 0.23, 0.02, 0.26, 0.20, -0.19, 0.22, -0.10, -0.08, 0.08, 0.13, 0.14, 0.13



(3)
Here is a molecular structure, C5H3F2IN2 at a distorted geometry from the OMol25 dataset. Energies are from the ωB97M-V functional and the def2-TZVPD basis.

The geometry in XYZ format:
```
13
Properties=species:S:1:pos:R:3
C -1.58797 -2.59726 0.65555
C -1.26586 -1.41792 0.73713
C 0.13983 0.20867 -0.45096
C 1.35556 1.83199 -0.29693
C -0.68528 -0.09189 0.82684
N 0.55846 -0.81901 -1.29431
N -0.35000 -0.12061 -1.70817
F -1.62350 0.87253 1.00325
F 0.06947 -0.07985 1.93231
I 3.02391 1.26301 -1.52839
H -1.91710 -3.50223 0.26523
H 1.57715 1.80354 0.68888
H 0.70532 2.64903 -0.83044
```

The molecular weight comes out at 256.0 g mol⁻¹. The HOMO-LUMO gap comes out at 9.578 eV. As for the calculated total energy: -21742.989 eV. As for the relative energy (zero: lowest compared OMol25 entry of this formula, charge and spin): 0.000 eV.

Formally, the Löwdin partial charges of the atoms, in units of the elementary charge, are as follows: 0.18, -0.01, -0.38, -0.48, -0.56, 0.11, 0.17, 0.10, 0.11, 0.73, 0.03, -0.06, 0.06



(4)
Here is a molecular structure, C5H3MgO3 at a distorted geometry from the OMol25 dataset. Energies are from the ωB97M-V functional and the def2-TZVPD basis.

The geometry in XYZ format:
```
12
Properties=species:S:1:pos:R:3
C -1.17528 -0.03711 -0.25068
C -2.22677 0.70936 -0.36447
O -3.14784 1.41268 -0.50293
C -0.60053 -1.40914 -0.18288
C 0.01754 -0.29366 0.59247
O 1.23583 0.23728 0.17351
C 1.52254 1.80820 0.30308
O 2.65584 1.87012 -0.16967
Mg 3.04112 -0.07861 -0.57231
H -1.15058 -2.17481 0.36773
H -0.07373 -1.76444 -1.07225
H -0.09816 -0.27985 1.67840
```